Castigating Trump for Truth-Telling
Exclusive: President Trump says much that is untrue, but he draws some of Official Washington’s greatest opprobrium when he speaks the truth, such as noting that senior U.S. officials have done a lot of killing, writes Robert Parry.
By Robert Parry
Gaining acceptance in Official Washington is a lot like getting admittance into a secret society’s inner sanctum by uttering some nonsensical password. In Washington to show you belong, you must express views that are patently untrue or blatantly hypocritical.

Fox News’ anchor Bill O’Reilly interviewing President Donald Trump.
For instance, you might be called upon to say that “Iran is the principal source of terrorism” when that title clearly belongs to Saudi Arabia and other Gulf state allies that have funded Al Qaeda, the Taliban and the Islamic State. But truth has no particularly value in Official Washington; adherence to “group think” is what’s important.
Similarly, you might have to deny any “moral equivalence” between killings attributed to Russian President Vladimir Putin and killings authorized by U.S. presidents. In this context, the fact that the urbane Barack Obama scheduled time one day a week to check off people for targeted assassinations isn’t relevant. Nor is the reality that Donald Trump has joined this elite club of official killers by approving a botched and bloody raid in Yemen that slaughtered a number of women and children (and left one U.S. soldier dead, too).
(Unrelated to this piece: data records)
+++
Diffraction record for BaTi4AlO7. The powder diffractogram is computed, not measured: it uses a crystal structure in the Materials Project, relaxed with PBE and Cu Kα, 1.54184 Å.

Cell and atoms:
Unit cell a=6.0570 b=6.0570 c=10.2758 alpha=90.00 beta=90.00 gamma=120.00
Atoms (fractional coordinates):
Ba  0.3333  0.6667  0.0000
Ba  0.6667  0.3333  0.5000
Ti  0.0000  0.0000  0.4824
Ti  0.0000  0.0000  0.9824
Ti  0.1647  0.3294  0.6836
Ti  0.1647  0.8353  0.6836
Ti  0.3294  0.1647  0.1836
Ti  0.6706  0.8353  0.6836
Ti  0.8353  0.1647  0.1836
Ti  0.8353  0.6706  0.1836
Al  0.3333  0.6667  0.3734
Al  0.6667  0.3333  0.8734
O  0.0000  0.0000  0.2885
O  0.0000  0.0000  0.7885
O  0.0323  0.5161  0.2620
O  0.1863  0.3725  0.4920
O  0.1863  0.8137  0.4920
O  0.3725  0.1863  0.9920
O  0.4839  0.5161  0.2620
O  0.4839  0.9677  0.2620
O  0.5161  0.0323  0.7620
O  0.5161  0.4839  0.7620
O  0.6275  0.8137  0.4920
O  0.8137  0.1863  0.9920
O  0.8137  0.6275  0.9920
O  0.9677  0.4839  0.7620

Most intense lines, 2θ from 10° to 90°, low angle first:
- (1 0 1), 2θ 19.0, I = 33
- (1 1 0), 2θ 29.5, I = 33
- (1 0 3), 2θ 31.2, I = 64
- (1 1 2), 2θ 34.4, I = 92
- (0 0 4), 2θ 34.9, I = 26
- (2 0 1), 2θ 35.3, I = 100
- (2 1 3), 2θ 53.4, I = 33
- (3 0 2), 2θ 55.5, I = 22
- (2 0 5), 2θ 56.9, I = 37
- (2 2 0), 2θ 61.2, I = 33

=====

Diffraction record for NiTe8Mo6. The powder diffractogram is computed, not measured: it uses a crystal structure in the Materials Project, relaxed with PBE and Cu Kα, 1.54184 Å.

Cell and atoms:
Unit cell a=7.1549 b=7.1831 c=7.2375 alpha=91.22 beta=95.46 gamma=90.05
Atoms (fractional coordinates):
Ni  0.0000  0.0000  0.0000
Te  0.0747  0.3242  0.1304
Te  0.2781  0.8192  0.8673
Te  0.3771  0.2971  0.7036
Te  0.4414  0.6948  0.3595
Te  0.5608  0.1878  0.2321
Te  0.7600  0.9553  0.7364
Te  0.9035  0.4418  0.6220
Te  0.9645  0.8418  0.2987
Mo  0.4202  0.4918  0.0346
Mo  0.5861  0.6150  0.7391
Mo  0.6320  0.8286  0.0698
Mo  0.7199  0.3116  0.9160
Mo  0.7625  0.5120  0.2402
Mo  0.9286  0.6393  0.9504

Most intense lines, 2θ from 10° to 90°, low angle first:
- (0 0 1), 2θ 12.3, I = 100
- (1 0 0), 2θ 12.4, I = 42
- (1 2 0), 2θ 27.9, I = 31
- (0 1 2), 2θ 28.0, I = 40
- (-2 1 1), 2θ 29.7, I = 48
- (2 2 1), 2θ 38.8, I = 41
- (3 1 -1), 2θ 40.8, I = 55
- (-1 3 1), 2θ 41.6, I = 41
- (1 -1 3), 2θ 42.5, I = 38
- (2 2 2), 2θ 45.5, I = 62

=====

Diffraction record for Ca3Mg4Zn11. The powder diffractogram is computed, not measured: it uses a crystal structure in the Materials Project, relaxed with PBE and Cu Kα, 1.54184 Å.

Cell and atoms:
Unit cell a=9.3445 b=9.3445 c=9.3537 alpha=90.00 beta=90.00 gamma=120.00
Atoms (fractional coordinates):
Ca  0.1997  0.3994  0.2500
Ca  0.1997  0.8003  0.2500
Ca  0.3994  0.1997  0.7500
Ca  0.6006  0.8003  0.2500
Ca  0.8003  0.1997  0.7500
Ca  0.8003  0.6006  0.7500
Mg  0.0000  0.0000  0.2500
Mg  0.0000  0.0000  0.7500
Mg  0.0000  0.5000  0.0000
Mg  0.0000  0.5000  0.5000
Mg  0.5000  0.0000  0.0000
Mg  0.5000  0.0000  0.5000
+++
(The piece goes on)
You have to understand that “our killings” are always good or at least justifiable (innocent mistakes do happen from time to time), but Russian killings are always bad. Indeed, Official Washington has so demonized Putin that any untoward death in Russia can be blamed on him whether there is any evidence or not. To suggest that evidence is needed shows that you must be a “Moscow stooge.”
To violate these inviolable norms of Official Washington, in which participants must intuitively grasp the value of such “group think” and the truism of “American exceptionalism,” marks you as a dangerous outsider who must be marginalized or broken.
Currently, President Trump is experiencing this official opprobrium as he is widely denounced by Republicans, Democrats and “news” people because he didn’t react properly to a question from Fox News’ Bill O’Reilly terming Putin “a killer.”
“There are a lot of killers.” Trump responded. “We’ve got a lot of killers. What do you think — our country’s so innocent. You think our country’s so innocent?”
Aghast at Trump’s heresy, O’Reilly sputtered, “I don’t know of any government leaders that are killers.”
Trump: “Well — take a look at what we’ve done too. We made a lot of mistakes. I’ve been against the war in Iraq from the beginning.”
O’Reilly: “But mistakes are different than —“
Trump: “A lot of mistakes, but a lot of people were killed. A lot of killers around, believe me.”
‘Moral Equivalence’
Though Trump is justly criticized for often making claims that aren’t true, here he was saying something that clearly was true. But it has drawn fierce condemnation from across Official Washington, not only from Democrats but from Trump’s fellow Republicans, too. Neoconservative Washington Post opinion writer Charles Krauthammer objected fiercely to Trump’s “moral equivalence,” and CNN’s Anderson Cooper chimed in. lamenting Trump’s deviation into “equivalence,” i.e. holding the U.S. government to the same ethical standards as the Russian government.
This “moral equivalence” argument has been with us at least since the Reagan administration when human rights groups objected to President Reagan’s support for right-wing governments in Central America that engaged in “death squad” tactics against political dissidents, including the murders of priests and nuns and genocide against disaffected Indian tribes. To suggest that Reagan and his friends should be subjected to the same standards that he applied to left-wing authoritarian governments earned you the accusation of “moral equivalence.”
Declassified documents from Reagan’s White House show that this P.R. strategy was refined at National Security Council meetings led by U.S. intelligence propaganda experts. Now the “moral equivalence” theme is being revived to discredit a new Republican president who dares challenge this particular Official Washington “group think.”
Lots of Killing
The unpleasant truth is that all leaders of major countries and many leaders of smaller countries are “killers.” President Obama admitted that he had ordered military strikes in seven different countries to kill people. His Secretary of State Hillary Clinton rejoiced over the grisly murder of Libyan leader Muammar Gaddafi with a clever twist on a famous Julius Caesar boast of conquest: “We came, we saw, he died,” Clinton chirped.
At the start of the U.S. invasion of Iraq in 2003, President George W. Bush ordered the U.S. military to conduct a devastating aerial assault on Baghdad, known as “shock and awe.”
President George W. Bush launched an illegal war against Iraq based on false pretenses, causing the deaths of hundreds of thousands of Iraqis, many of them children and other civilians.
President Bill Clinton ordered a vicious bombing campaign against the Serbian capital of Belgrade, which included intentionally targeting the Serb TV building and killing 16 civilian employees because Clinton considered the station’s news reports to be “propaganda,” i.e., not in line with U.S. propaganda.
After the U.S. bombing in 1991 that incinerated more than 400 civilians, the Amiriyah Bunker in Baghdad was turned into a memorial to the victims. Since the U.S. invasion and occupation of Iraq in 2003, the memorial was closed to the public.
President George H.W. Bush slaughtered scores of Panamanians who happened to live near the headquarters of the Panamanian Defense Forces and he killed tens of thousands of Iraqis, including incinerating a civilian bomb shelter in Baghdad, after he brushed aside proposals for resolving Iraq’s invasion of Kuwait peacefully. (Bush wanted a successful war as a way to rally the American people behind future foreign military operations, so, in his words, the country could kick “the Vietnam Syndrome once and for all.”)
Other U.S. presidents have had more or less blood on their hands than these recent chief executives, but it is hard to identify any modern U.S. president who has not been a “killer” in some form, inflicting death upon innocents whether as part of some “justifiable” mission or not.
But the mainstream U.S. press corps routinely adopts double standards when assessing acts by a U.S. president and those of an “enemy.” When the U.S. kills people, the mainstream media bends over backwards to rationalize the violence, but does the opposite if the killing is authorized by some demonized foreign leader.
That is now the case with Putin. Any accusation against Putin – no matter how lacking in evidence – is treated as credible and any evidence of Putin’s innocence is ridiculed or suppressed.
That was the case with a documentary that debunked claims that hedge fund accountant Sergei Magnitsky was murdered in a Russian prison because he was a whistleblower when the documentary showed that he was a suspect in a massive money-laundering scheme and died of natural causes. Although produced by a documentarian who started out planning to do a sympathetic portrayal of Magnitsky, the facts led in a different direction that caused the documentary to be shunned by the European Union and given minimal distribution in the United States.
By contrast, the ease with which Putin is called a murderer – based on “mysterious deaths” inside Russia – is reminiscent of how American right-wing groups suggested that Bill and Hillary Clinton were murderers by distributing a long list of “mysterious deaths” somehow related to the Clinton “scandals” from their Arkansas days. While there was no specific evidence connecting the Clintons to any of these deaths, the sheer number created suspicions that were hard to knock down without making you a “Clinton apologist.” Similarly, a demand for actual evidence proving Putin’s guilt in a specific case makes you a “Putin apologist.”
However, as a leader of a powerful nation facing threats from terrorism and other national security dangers, Putin is surely a “killer,” much as U.S. presidents are killers. That appears to have been President Trump’s point, that the United States doesn’t have clean hands when it comes to shedding innocent blood.
But telling such an unpleasant albeit obvious truth is not the way to gain entrance into the inner sanctum of Official Washington’s Deep State. The passwords for admission require you to say a lot of things that are patently false. Any inconvenient truth-telling earns you the bum’s rush out into the alley, even if you’re President of the United States.
Investigative reporter Robert Parry broke many of the Iran-Contra stories for The Associated Press and Newsweek in the 1980s. You can buy his latest book, America’s Stolen Narrative, either in print here or as an e-book (from Amazon and